Sunday, October 21, 2007

to be heard, to connect and feel validated

So to continue on my previous entry, I had a breakthrough in therapy on friday.
I realized that my anger was from feeling misunderstood - and that my therapist, of all people - the person I regarded as knowing me the most and most truthfully, had so grossly misunderstood me and thought me capable of something I myself think I would never do.

It felt like the biggest betrayal of what I had entrusted her with - myself.

This realization was - perhaps very simply put, the need to be connected with other humans and the need to feel understood. And it hurt so much to see that even the person who I felt knew me better than anyone else in my life could completely misunderstand me, use my words against me and take away the safe world we had developed over 5 years.

So here I am - after years of struggling to undersatnd the grief and pain in my life, the aloneness and anger, the feelings of guilt and lack of connection. And ultimately, I think it all comes down to needing to connect, communicate, feel heard and validated. That is what I need and want.

So I went on this date last night. I was excited about it - it was a first in a while where I actually felt attracted to the man. And I went in to it with the thought - what I want from this is to connect. I want to find someone who is willing to connect with me, communicate openly, validate me and listen to me - and I want to give that in return.

It puts a foundation on dating that i hadn't had before - but also raises the stakes of the game. I'm putting myself out there in hopes that I will be met with equal yearning and hopes. The chances I think are slim but we shall see.

It was a good date all told though (and perhaps this is my fault) I felt I did most of the listening and he didn't ask too much about me. So I don't know if that is because I supported his talking or whether he wasn't interested. Hmmm. I also have to remember that I don't record the good bits. I bet there were some nuggets in there that I forgot about. I hope so. I think I like him.

Saturday, October 20, 2007

Note to self:

It's about being understood. Feeling understood. Connecting with someone in such a way that I feel partnered, heard, understood. To be elaborated on.

Sunday, October 14, 2007

anger, numbness and false control

i feel the strong pull to numb. any. way. i. can.
heady happiness running fast.
vicodin if it weren't for the night sweats
happiness in solitude
a fake power over my aloneness

my stomach is cramping from the codeine cough syrup i drank.
i'm trying to relax it with wine.

why can't i be loved?

Sunday, October 7, 2007

Reality based on truth

If reality is a mutually agreed upon truth

and we all have our own unique truth

then what is reality?

If every person's experience is unique then how can there be a universal truth?
and what does that say about "reality"?
what the fuck is reality?!

note: I'm am not high or on any substance other than food, coffee and soda.

Anger, independance and understanding

The most influential person in my adult life has been my therapist of the last 5 years. I don't know if I would be here to write this had I not had her help, clarity, care and wisdom. I love her dearly and am so grateful for everything she has been to me over the last years. Which is why the rift that occurred over the last two weeks has been so difficult and will continue to be a huge learning process for me.

I mentioned in my previous post that I've lost 120lbs over the last year. With the weight loss has come major changes in my mood, life and shifting/evolving interests and desires. I've become more social, I’ve started dating for the first time in my life (yes, I’m 39 years old and never dated), I'm trying to "do" more things - like go to exhibits, events, etc. This is all wonderful and a part of my healing and something I want for my life. I want to be active and interested.

I also need a lot of down time. I think I need more than most people. Time to literally do nothing, with no commitments (which sounds funny even writing it as compared to the average person, I have nothing demanding my time except work and that which I choose to participate in). So, I started thinking that perhaps I don't want to go to therapy twice a week. I go every thursday and friday. I thought perhaps I might drop every other friday and see how it felt.

I've been feeling more positive and capable in dealing with the ups and downs that life brings. Where before I might have nose-dived into depression because of something, I now feel more even-keeled and flexible - open to the shifting of moods and emotions rather than being consumed by more drastic swings.

I also began feeling that I might know more than my therapist. I may have surpassed her in wisdom. Yes, I know how wrong that could and does sound but sometimes I just feel like "shit, I've been through a lot and feel like I know a lot". And honestly, some of her words started sounding canned - more psycho-lingo than insight and truth. So I thought - hmm, it would be nice not to have to come every friday. I started resenting her for having to come which I knew was stupid as it's my choice to come so I need to take responsibility if I come or not.

With that in mind (the taking of responsibility), I opened up the idea to her. "Can we talk about and consider the idea of me coming every other friday?" We talked about it in that first session and she wasn't supportive of the idea but we were discussing it. The ending thought being that the holidays are upon us and with her being out and vacation days, it would work out to being similar to my request so let's see how that went and continue to conversation in the new year.

Between that first conversation and the intervening days, I began to feel resentful and angry. There were other things that happened as well that made me feel like she wasn't supporting me or thinking about me. It started to feel very much like it was "all about her". She asked if I could come earlier on thursdays (duh, I’d been saying how work was stressful and there's no way for me to leave earlier [I just went back and reread the messages. I originally had thought she meant on a reoccurring basis and it's clear now that it was just that thursday]). Then I get an email from her who's subject line was "Don't come early" - and it was clear from the contents of the email that she was seeing a co-worker (long story) - and it felt like a double stab. She'd always taken great pains to avoid us running into each other and respecting our privacy so the fact that she would schedule this person directly before me felt like a kick in the teeth.

SO... I went to my scheduled appt (waiting in my car till I saw my co-worker leave so as to avoid a f2f). We talked again about the "every other friday" and she said some things that were really below the belt. They were personal and unprofessional. She again was insistent that she doesn't work "every other" anything. She doesn't think it works, that she "holds" the time and the regularity of our rhythm. Some of what she said made sense but I got the distinct feeling she was grasping for excuses and that she was grabbing all the control, not allowing me independence - and ugly thought: not wanting to lose me as her patient/client because I'm her success story. ugly thought #2: I feel more wise than her. With her psycho-lingo and sometimes shallow interpretation of what I was saying, I thought "I've surpassed you." This is a bittersweet idea. She has been my wisdom and light for the past 5 years. She has been my rope back to life. The rope that I have clung to and climbed up one hand over the other and sometimes losing my grip.

But then I've gotten tired of everything needing to be analyzed and poured over. Every word (or choice of words) needing some deeper meaning. I want a break from that. I want to feel simple.

SO... (perhaps that should be the name of this blog).

SO... here we are.
I was angry with her and was struggling to make sense of why she acted and reacted in such a hurtful way.
I wasn't ready to say good bye to her - I don't know if I ever will be - so I had to make sense of her reaction.
The only reason that made sense was that she was reacting with emotion. She was emotionally involved with me - and somehow I had hurt her so she had to lash back. It was unskillful (there's that psycho-lingo, argh - i'm guilty of it too). How dare she be mundane enough to get caught like that. She's supposed to offer me the wisdom and the light. Not human anger, hurt and UNSKILLFUL reactions. This was my space to be angry, hurt and unskillful. Not hers.

But I don't want to lose her.
I'm not ready to stop seeing her.
I'm not ready to fly solo.
And because of that, I needed to find some kind of understanding for what she did and some way to forgive her.

I still feel hurt.
Another layer of realness has been added to who she is.
She's not the omnipotent all-knowing, wise protector of me.
She's human.
She's fallible.
She is not perfect.

And I guess the difference is - the small girl that was me who needed a mother who was all-protecting and wise and infallible and all-knowing and perfect is now an adult who still wanted that but needs to be adult enough to understand the humanness of her mother and her beloved therapist. To take responsibility for my part in causing the hurt, for seeing where I misunderstood some of the story line and possibly, most importantly, for allowing her humanness.

Can she be human and still help me?
Perhaps we have moved beyond the days of her as lifeline but I think I still need her.
My thursday and (maybe every other) friday are where I find my balance. They are where I (re)find myself in between the days and moments where I become surface. I still have difficulty maintaining contact with the deeper parts of myself. There is a strong pull to the surface. To appearances. To fun. To freedom. To feeling nothing. Such a strong pull towards feeling nothing. And it is work to feel. To want to feel. To ask why. what. wherefore. what is this life? what is important?

for that, i need you.
with tears and love and need.
i am wiser. i am better. i am alive.
you are my insides calling out.
the constant knocking - who are you, what do you want, what is IT?
i am not disciplined enough yet to do that alone.
thank you for knocking.
i will continue to answer as best i can.

Saturday, September 29, 2007

an afterthought

Why is it so very hard to write the truth?
I flinch at reading "I was reborn sometime in the fall of last year" but it is the truth. Why should I shy away from that? Afterall, isn't this an exercise in documenting my personal truth? Here we go.

What I forgot to add is that since October of last year I've lost 120lbs.

It was time for my outside to match my inside.
I had achieved an internal shift and was ready to make the external reflect that shift. Many realizations have come from the process of losing weight - in my relationship to myself, how the world recieves me, and so many other things.

Food is still my drug, companion, friend, and comforter of choice.

and so I start

i'm horrible with words.
the minute I write them (or type them in this case) I'm bored with them or, when confronted with having to document my thoughts, it feels instantly artificial. Like: Ok, think now. Write something meaningful that will be worth reading.

I've never been good at "telling" my story - you know how some people are good at making the littlest thing (like going out to get a coffee) seem like the greatest tale. And the problem is, I feel like I need to write down my life's TOC so that you can better understand "the thoughts" I want to document. I'm not quite sure who "you" are if not me... and why I'm doing this on such a public forum. Entirely odd really. Except there's something to be said for sharing one's story. If it's all in my head, what's it worth (except to me and I'd hope that this life, my life, is not solely for me but something larger).

It's been an ongoing preoccupation of mine to sort out exactly where I was when as a child - so forgive the beginning muddlings. Its for my own clarity i suppose.

In list format, the TOC of my life thus far (perhaps then I will be able to flush out the inbetweens):
1968, Summer: Born, Florida

Somewhere around (Sa) 1970: moved to Vermont

Sa 1973: moved to London, UK

Sa 1975: moved back to Vermont

Sa 1977: moved back to London, UK (after parents divorced)

Sa 1979: moved to NYC, attended grades 5 through 8

1983: Attended boarding school in New England, grades 9 through 12

1986: graduated highschool

1986-1987: took a year off to figure out what I wanted to do

## Crystal structures that have nothing to do with the text
ZrAlCu | PBEsol | optimized geometry

**Space-group type**: Imma
**Formation enthalpy at 0 K**: -0.4066 eV per atom
**DFT total energy**: -37.471 eV per cell
**Calculated volume**: 15.87 Å³/atom
**Crystal system**: orthorhombic
**Fermi-level density of states**: 0.967 states/eV per atom

Cell lengths 5.0976, 5.1109, 5.1109 Å; angles 61.37, 60.09, 60.09 degrees
Closest atoms and distances in Å follow each position.
Atoms (fractional coordinates):
Zr  0.3751  0.8749  0.3749  6 Cu 2.97-3.04, 6 Al 2.99-3.00, 4 Zr 3.12-3.16
Zr  0.6249  0.1251  0.6251  6 Cu 2.97-3.04, 6 Al 2.99-3.00, 4 Zr 3.12-3.16
Al  0.0000  0.0000  0.0000  4 Cu 2.56, 2 Al 2.61
Al  0.0000  0.5000  0.5000  4 Cu 2.56, 2 Al 2.61
Cu  0.5000  0.5000  0.0000  2 Cu 2.55, 4 Al 2.56
Cu  0.0000  0.5000  0.0000  2 Cu 2.55, 4 Al 2.56


HfCuGe | PBEsol | optimized geometry

**Space-group type**: I4/mmm
**Formation enthalpy at 0 K**: -0.5732 eV per atom
**DFT total energy**: -42.991 eV per cell
**Calculated volume**: 15.55 Å³/atom
**Crystal system**: tetragonal
**Fermi-level density of states**: 0.274 states/eV per atom

Cell lengths 3.7400, 3.7400, 7.1746 Å; angles 105.11, 105.11, 90.00 degrees
Closest atoms and distances in Å follow each position.
Atoms (fractional coordinates):
Hf  0.6695  0.6695  0.3390  5 Ge 2.70-2.71, 4 Cu 2.93
Hf  0.3305  0.3305  0.6610  5 Ge 2.70-2.71, 4 Cu 2.93
Cu  0.0000  0.5000  0.0000  4 Ge 2.52, 4 Cu 2.64
Cu  0.5000  0.0000  0.0000  4 Ge 2.52, 4 Cu 2.64
Ge  0.8730  0.8730  0.7459  4 Cu 2.52, 5 Hf 2.70-2.71
Ge  0.1270  0.1270  0.2541  4 Cu 2.52, 5 Hf 2.70-2.71


MgP4 | PBEsol | optimized geometry

**Space-group type**: P2_1/c
**Formation enthalpy at 0 K**: -0.2973 eV per atom
**DFT total energy**: -52.739 eV per cell
**Calculated volume**: 19.31 Å³/atom
**Crystal system**: monoclinic

Cell lengths 5.0565, 5.1311, 7.5288 Å; angles 98.61, 90.00, 90.00 degrees
Closest atoms and distances in Å follow each position.
Atoms (fractional coordinates):
P  0.7923  0.7486  0.2456  2 P 2.18
P  0.2923  0.2514  0.2544  2 P 2.18
P  0.2077  0.2514  0.7544  2 P 2.18
P  0.7077  0.7486  0.7456  2 P 2.18
P  0.3895  0.6054  0.9016  3 P 2.18-2.26
P  0.8895  0.3946  0.5984  3 P 2.18-2.26
P  0.6105  0.3946  0.0984  3 P 2.18-2.26
P  0.1105  0.6054  0.4016  3 P 2.18-2.26
Mg  0.5000  0.0000  0.5000  6 P 2.60-2.84
Mg  0.0000  0.0000  0.0000  6 P 2.60-2.84


KSi2Mo | PBEsol | optimized geometry

**E above lowest polymorph**: 6.6 kJ per mole of atoms
**Space-group type**: C2/m
**Energy relative to the elements, uncorrected**: 10.87 kJ per mole of atoms
**DFT total energy**: -23.944 eV per cell
**Calculated volume**: 22.04 Å³/atom
**Crystal system**: monoclinic
**Fermi-level density of states**: 0.262 states/eV per atom

Cell lengths 3.2047, 4.4763, 6.7245 Å; angles 101.00, 90.00, 110.98 degrees
Closest atoms and distances in Å follow each position.
Atoms (fractional coordinates):
K  0.0000  0.0000  0.5000  2 K 3.20, 6 Si 3.43-3.45
Mo  0.5000  0.0000  0.0000  6 Si 2.50-2.59

1987-89: Didn't figure out what I wanted to be so attended liberal arts college; during third year, discoverd graphic design (not sure to this day how I became aware of this field of work)

1989-1991: Decided I wanted to pursue graphic design because it was something creative that would also allow me to be financially independant so transferred to fine arts college, graduated with a degree in Communication Design

1991: moved to SF bay area, CA and began working as a graphic designer

1995: moved to SF proper; began designing for the "online" world

2001: dotcom crash... out of work for several months; descent into palpable depression begins (a depression whose edge began at moment of birth); explored alternate career as receptionist at an animal hospital

2002, Spring: after years of dizzy spells, weak knees, migraines and more recently double-vision, diagnosed with inoperable brain tumor; had surgery to relieve pressure cause by tumor; no further treatment necessary; depression temporarily lightened thinking end was near.

2002, Winter: upon realizing the brain tumor may not be my ticket out and that I actually could not solve my depression alone, I seek help

2004, Fall: Begin work at inspiring company in my former occupation as designer

Present: I am on the other side of my life's depression; my brain tumor is still there and not doing anything. The emotional, spiritual, and life work I have done in the years between 2002 and now is what I want to write about here (intermingled with random thoughts and other such bits).

And so there we have it.
I shall try to come back often to write down all the thoughts I've had in the years since starting therapy and living again.
I think I was reborn somewhere in the fall of last year.